Execution order confusion

Hi All,
I am trying to create a node that will take a series of input numbers, add them all up and subtract the result from a fixed number.

The intention is to generate a PPM (pulse position modulation) signal for use in radio control of a vehicle. To do that the transmitter sends a “frame”, which is a stream of varying length pulses (with each pulse representing a servo position) with a sync pulse at the end. The frame length is fixed length, usually 22ms. The sync pulse must be 22000 minus the sum of the widths of all the channel pulses, which are between 1000ms and 2000ms. The sync pulse will always be much longer than the longest channel pulse, so the receiver can detect it and then know that the next pulse is channel 1.

The node I’m trying to create is just to calculate the length of the sync pulse. But I am getting strange results, and I can only guess it is related to nodes being evaluated in a sequence other than what I am expecting. For testing, and to make the arithmetic a bit easier, I’ve set the fixed value at 200, and I have eight pulses with lengths varying from 10 to 17. With these values I would expect the result to be 92 (100 - 10 - 11 - … -17) but that is not what I get. I actually get 85. The intermediate results are different too, as they seem to one less than the number I’ve actually subtracted.

I don’t know how to correct this. Or would it be easier to just do it in C++?
Thanks, Ian

Something is not right there, because in the first run the results are negative.
Then if they are positive with those results.

where does 100 come from?

Hi @cesars, Sorry, typo, It should be 200 of course, which comes from the if-else node (hard coded on the “T” pin). I haven’t been able to figure out how to initialise the value before the first loop, so the first time through the values are subtracted from zero. From the second iteration the value is set to 200 before anything is subtracted from it. It doesn’t really matter because the first iteration will be long gone before my finger is off the on switch.

Data records, kept here for reference:
/*
# Y11Ge10
Computed PXRD pattern, Cu Kα, 1.54184 Å. Input: a GGA-PBE-relaxed structure.

The 8 most intense peaks (2θ from 15° to 90°), in order of falling intensity:
2θ 33.70, intensity 100.0; 2θ 32.69, intensity 86.5; 2θ 34.71, intensity 43.6; 2θ 36.68, intensity 37.3; 2θ 34.47, intensity 36.9; 2θ 44.47, intensity 19.0; 2θ 68.48, intensity 17.7; 2θ 49.91, intensity 16.7

Crystal structure
abc: 11.324 11.324 11.324
angles: 122.08 122.08 86.43
Positions (direct):
Y  0.058  0.310  0.748
Y  0.103  0.427  0.324
Y  0.103  0.779  0.676
Y  0.160  0.160  0.000
Y  0.221  0.897  0.324
Y  0.310  0.058  0.748
Y  0.310  0.562  0.252
Y  0.323  0.323  0.645
Y  0.323  0.677  0.000
Y  0.427  0.103  0.324
Y  0.438  0.690  0.748
Y  0.562  0.310  0.252
Y  0.573  0.897  0.676
Y  0.677  0.323  0.000
Y  0.677  0.677  0.355
Y  0.690  0.438  0.748
Y  0.690  0.942  0.252
Y  0.779  0.103  0.676
Y  0.840  0.840  0.000
Y  0.897  0.221  0.324
Y  0.897  0.573  0.676
Y  0.942  0.690  0.252
Ge  0.028  0.028  0.419
Ge  0.028  0.609  0.000
Ge  0.120  0.120  0.239
Ge  0.120  0.880  0.000
Ge  0.139  0.500  0.639
Ge  0.250  0.750  0.500
Ge  0.387  0.387  0.000
Ge  0.391  0.391  0.419
Ge  0.391  0.972  0.000
Ge  0.500  0.139  0.639
Ge  0.500  0.861  0.361
Ge  0.609  0.028  0.000
Ge  0.609  0.609  0.581
Ge  0.613  0.613  0.000
Ge  0.750  0.250  0.500
Ge  0.861  0.500  0.361
Ge  0.880  0.120  0.000
Ge  0.880  0.880  0.761
Ge  0.972  0.391  0.000
Ge  0.972  0.972  0.581

~~~~~

Starting from DFT lattice parameters and positions (PBE+U), the PXRD pattern of Li4TiFe5O12 was simulated for Cu Kα.
Peak positions follow from Bragg's law for the DFT cell and can differ from measured ones.

Principal peaks in the range 10 to 90 degrees two-theta, by angle:
2θ = 17.48°, intensity 100, (0 0 2)
2θ = 35.92°, intensity 15, (1 3 -1)
2θ = 37.07°, intensity 13, (1 3 1)
2θ = 43.16°, intensity 17, (1 3 -3)
2θ = 46.08°, intensity 19, (1 3 3)
2θ = 56.17°, intensity 11, (1 3 -5)

Structure:
abc: 5.2224 8.7350 10.2362
angles: 90.00 97.59 90.00
Space group C2/m (No. 12)
Unique sites:
Li: 0.1263 0.1833 0.2582
Ti: 0.0000 0.0000 0.5000
Fe: 0.0000 0.1673 0.0000
Fe: 0.0000 0.3348 0.5000
Fe: 0.0000 0.5000 0.0000
O: 0.1276 0.0000 0.8960
O: 0.1328 0.3277 0.8905
O: 0.1664 0.1706 0.6081
O: 0.1981 0.5000 0.5992

~~~~~

For Cs2NdAgCl6, DFT lattice parameters and positions (GGA-PBE) gives the computed PXRD pattern in this record (Cu Kα).

Crystal structure
abc: 7.8021 7.8021 7.8021
angles: 60.00 60.00 60.00
Fractional coordinates of all 10 atoms:
Cs (0.2500, 0.2500, 0.2500)
Cs (0.7500, 0.7500, 0.7500)
Nd (0.0000, 0.0000, 0.0000)
Ag (0.5000, 0.5000, 0.5000)
*/


The problem is buffer is only initialized to 200 at the END of each run. It starts as zero the 1st run and gets numbers subtracted from it.

A better way to run this loop would be to move the if-else for initial value to the left pin of subtract. if count=0, then subtract from 200, else subtract from buffer.

Even more importantly, why is it being done as a loop? You are trying to calculate the length of the 1st pulse based of length of later pulses, so you will need to have (and remember) all those pulses, so why not just subtract them all at once? Since you don’t want the pulse-values changing, I would recommend using buffers to store the pulse lengths while you are processing them.

Sample using just 3 pulses (easy to expand for all your pulses).

Hi @gweimer, thanks for the reponse and a solution. The first loop going negative didn’t really bother me as it would be updated 22ms later and would be fine from then on.
My concept is that the values for the pulse widths are read from analog and digital reads. As each read occurs it updates the value in the buffer related to that particular input. At the same time, and probably asynchronously, the buffer is read and the sync pulse calculated. Then the whole frame of servo control pulses plus sync pulse is sent to the RF module to be transmitted to the receiver.
The reason I tried to put the processing in a loop is because, as far as I am aware, that is standard practice for imperative languages, i.e. the sum would be done in a “for” loop. So my first thought was to do it the same way in xod. Translating your solution to a more standard language, it seems to me, would be something like

result = buffer[0] + buffer[1] + buffer[2] + ... + buffer [7];

Nothing wrong with that in this case, but could get a bit unwieldy if the list contained many values. I just feel that a loop is cleaner and tidier than adding lots of buffers. Maybe I’m trying to overlay my imperative style thinking onto a language that it doesn’t really fit well with. Don’t know, I’m still learning.

I do like the simplicity of your solution though. Thanks for that!